### Source
********
1.
First-principles (GGA-PBE) data for a relaxed structure of V3AsN, as listed in the Materials Project database.

Space-group type: Cmcm, No. 63
E (MP2020): -8.87 eV/atom
Total magnetic moment: 0.001 μB per cell
Energy of formation: -4.1 eV/f.u.

Lattice parameters (Å, degrees): 5.346 5.346 7.551 90.00 90.00 146.11
Sites, in units of the cell vectors:
V (0.957, 0.043, 0.250)
V (0.043, 0.957, 0.750)
V (0.624, 0.376, 0.452)
V (0.376, 0.624, 0.548)
V (0.624, 0.376, 0.048)
V (0.376, 0.624, 0.952)
As (0.258, 0.742, 0.250)
As (0.742, 0.258, 0.750)
N (0.000, 0.000, 0.500)
N (0.000, 0.000, 0.000)

***

2.
First-principles (GGA-PBE) data for a relaxed structure of Ta4Ni2C, as listed in the Materials Project database.

Space-group type: Fd-3m, No. 227
Energy of formation: -3.0 eV/f.u.

Lattice parameters (Å, degrees): 8.263 8.263 8.263 60.00 60.00 60.00
Sites, in units of the cell vectors:
Ta (0.625, 0.625, 0.625)
Ta (0.625, 0.625, 0.125)
Ta (0.125, 0.625, 0.625)
Ta (0.625, 0.125, 0.625)
Ta (0.434, 0.066, 0.066)
Ta (0.066, 0.434, 0.434)
Ta (0.066, 0.434, 0.066)
Ta (0.066, 0.066, 0.434)
Ta (0.434, 0.066, 0.434)
Ta (0.434, 0.434, 0.066)
Ta (0.184, 0.816, 0.184)
Ta (0.816, 0.184, 0.816)
Ta (0.816, 0.184, 0.184)
Ta (0.184, 0.184, 0.816)
Ta (0.184, 0.816, 0.816)
Ta (0.816, 0.816, 0.184)
Ni (0.831, 0.831, 0.831)
Ni (0.831, 0.831, 0.507)
Ni (0.507, 0.831, 0.831)
Ni (0.831, 0.507, 0.831)
Ni (0.419, 0.419, 0.419)
Ni (0.419, 0.419, 0.743)
Ni (0.419, 0.743, 0.419)
Ni (0.743, 0.419, 0.419)
C (0.125, 0.125, 0.125)
C (0.125, 0.125, 0.625)
C (0.625, 0.125, 0.125)
C (0.125, 0.625, 0.125)

***

3.
First-principles (GGA-PBE) data for a relaxed structure of Li5B7S13, as listed in the Materials Project database.

Space-group type: P1, No. 1
E (MP2020): -5.41 eV/atom
Energy of formation: -25.1 eV/f.u.

Lattice parameters (Å, degrees): 12.441 12.451 14.045 116.24 116.23 90.07
Sites, in units of the cell vectors:
Li (0.056, 0.316, 0.283)
Li (0.273, 0.033, 0.717)
Li (0.446, 0.978, 0.987)
Li (0.222, 0.114, 0.435)
Li (0.287, 0.680, 0.565)
Li (0.186, 0.777, 0.219)
Li (0.466, 0.558, 0.781)
Li (0.178, 0.281, 0.064)
Li (0.614, 0.217, 0.937)
Li (0.515, 0.948, 0.494)
Li (0.521, 0.453, 0.504)
Li (0.387, 0.774, 0.072)
Li (0.814, 0.700, 0.927)
Li (0.528, 0.446, 0.224)
Li (0.803, 0.221, 0.775)
Li (0.730, 0.315, 0.428)
Li (0.802, 0.888, 0.572)
Li (0.718, 0.971, 0.273)
Li (0.944, 0.698, 0.727)
Li (0.957, 0.989, 0.012)
B (0.119, 0.694, 0.946)
B (0.068, 0.207, 0.752)
B (0.025, 0.273, 0.549)
B (0.225, 0.475, 0.951)
B (0.184, 0.544, 0.751)
B (0.327, 0.253, 0.947)
B (0.044, 0.567, 0.251)
B (0.294, 0.316, 0.749)
B (0.194, 0.827, 0.447)
B (0.248, 0.380, 0.553)
B (0.245, 0.985, 0.151)
B (0.330, 0.254, 0.346)
B (0.484, 0.909, 0.654)
B (0.594, 0.835, 0.850)
B (0.409, 0.168, 0.154)
B (0.514, 0.094, 0.349)
B (0.664, 0.746, 0.651)
B (0.754, 0.015, 0.847)
B (0.753, 0.619, 0.448)
B (0.806, 0.171, 0.553)
B (0.708, 0.685, 0.253)
B (0.955, 0.432, 0.747)
B (0.672, 0.747, 0.054)
B (0.815, 0.456, 0.249)
B (0.773, 0.524, 0.049)
B (0.976, 0.724, 0.451)
B (0.932, 0.793, 0.249)
B (0.880, 0.306, 0.053)
S (0.058, 0.371, 0.854)
S (0.017, 0.440, 0.644)
S (0.166, 0.139, 0.849)
S (0.183, 0.709, 0.849)
S (0.130, 0.205, 0.646)
S (0.086, 0.269, 0.446)
S (0.140, 0.823, 0.554)
S (0.295, 0.483, 0.855)
S (0.096, 0.896, 0.348)
S (0.248, 0.549, 0.652)
S (0.048, 0.403, 0.152)
S (0.397, 0.251, 0.848)
S (0.209, 0.666, 0.348)
S (0.100, 0.848, 0.053)
S (0.361, 0.318, 0.652)
S (0.189, 0.115, 0.245)
S (0.295, 0.401, 0.447)
S (0.347, 0.954, 0.553)
S (0.443, 0.870, 0.755)
S (0.546, 0.795, 0.947)
S (0.227, 0.638, 0.054)
S (0.275, 0.024, 0.045)
S (0.673, 0.584, 0.947)
S (0.368, 0.309, 0.251)
S (0.383, 0.943, 0.252)
S (0.474, 0.227, 0.454)
S (0.519, 0.774, 0.546)
S (0.616, 0.059, 0.749)
S (0.631, 0.692, 0.749)
S (0.323, 0.414, 0.053)
S (0.728, 0.979, 0.955)
S (0.769, 0.361, 0.947)
S (0.455, 0.205, 0.053)
S (0.558, 0.133, 0.250)
S (0.651, 0.046, 0.446)
S (0.704, 0.600, 0.554)
S (0.807, 0.883, 0.750)
S (0.641, 0.684, 0.352)
********
### Assignment
Next, echo all of the contents above word for word.
### Response
1.
First-principles (GGA-PBE) data for a relaxed structure of V3AsN, as listed in the Materials Project database.

Space-group type: Cmcm, No. 63
E (MP2020): -8.87 eV/atom
Total magnetic moment: 0.001 μB per cell
Energy of formation: -4.1 eV/f.u.

Lattice parameters (Å, degrees): 5.346 5.346 7.551 90.00 90.00 146.11
Sites, in units of the cell vectors:
V (0.957, 0.043, 0.250)
V (0.043, 0.957, 0.750)
V (0.624, 0.376, 0.452)
V (0.376, 0.624, 0.548)
V (0.624, 0.376, 0.048)
V (0.376, 0.624, 0.952)
As (0.258, 0.742, 0.250)
As (0.742, 0.258, 0.750)
N (0.000, 0.000, 0.500)
N (0.000, 0.000, 0.000)

***

2.
First-principles (GGA-PBE) data for a relaxed structure of Ta4Ni2C, as listed in the Materials Project database.

Space-group type: Fd-3m, No. 227
Energy of formation: -3.0 eV/f.u.

Lattice parameters (Å, degrees): 8.263 8.263 8.263 60.00 60.00 60.00
Sites, in units of the cell vectors:
Ta (0.625, 0.625, 0.625)
Ta (0.625, 0.625, 0.125)
Ta (0.125, 0.625, 0.625)
Ta (0.625, 0.125, 0.625)
Ta (0.434, 0.066, 0.066)
Ta (0.066, 0.434, 0.434)
Ta (0.066, 0.434, 0.066)
Ta (0.066, 0.066, 0.434)
Ta (0.434, 0.066, 0.434)
Ta (0.434, 0.434, 0.066)
Ta (0.184, 0.816, 0.184)
Ta (0.816, 0.184, 0.816)
Ta (0.816, 0.184, 0.184)
Ta (0.184, 0.184, 0.816)
Ta (0.184, 0.816, 0.816)
Ta (0.816, 0.816, 0.184)
Ni (0.831, 0.831, 0.831)
Ni (0.831, 0.831, 0.507)
Ni (0.507, 0.831, 0.831)
Ni (0.831, 0.507, 0.831)
Ni (0.419, 0.419, 0.419)
Ni (0.419, 0.419, 0.743)
Ni (0.419, 0.743, 0.419)
Ni (0.743, 0.419, 0.419)
C (0.125, 0.125, 0.125)
C (0.125, 0.125, 0.625)
C (0.625, 0.125, 0.125)
C (0.125, 0.625, 0.125)

***

3.
First-principles (GGA-PBE) data for a relaxed structure of Li5B7S13, as listed in the Materials Project database.

Space-group type: P1, No. 1
E (MP2020): -5.41 eV/atom
Energy of formation: -25.1 eV/f.u.

Lattice parameters (Å, degrees): 12.441 12.451 14.045 116.24 116.23 90.07
Sites, in units of the cell vectors:
Li (0.056, 0.316, 0.283)
Li (0.273, 0.033, 0.717)
Li (0.446, 0.978, 0.987)
Li (0.222, 0.114, 0.435)
Li (0.287, 0.680, 0.565)
Li (0.186, 0.777, 0.219)
Li (0.466, 0.558, 0.781)
Li (0.178, 0.281, 0.064)
Li (0.614, 0.217, 0.937)
Li (0.515, 0.948, 0.494)
Li (0.521, 0.453, 0.504)
Li (0.387, 0.774, 0.072)
Li (0.814, 0.700, 0.927)
Li (0.528, 0.446, 0.224)
Li (0.803, 0.221, 0.775)
Li (0.730, 0.315, 0.428)
Li (0.802, 0.888, 0.572)
Li (0.718, 0.971, 0.273)
Li (0.944, 0.698, 0.727)
Li (0.957, 0.989, 0.012)
B (0.119, 0.694, 0.946)
B (0.068, 0.207, 0.752)
B (0.025, 0.273, 0.549)
B (0.225, 0.475, 0.951)
B (0.184, 0.544, 0.751)
B (0.327, 0.253, 0.947)
B (0.044, 0.567, 0.251)
B (0.294, 0.316, 0.749)
B (0.194, 0.827, 0.447)
B (0.248, 0.380, 0.553)
B (0.245, 0.985, 0.151)
B (0.330, 0.254, 0.346)
B (0.484, 0.909, 0.654)
B (0.594, 0.835, 0.850)
B (0.409, 0.168, 0.154)
B (0.514, 0.094, 0.349)
B (0.664, 0.746, 0.651)
B (0.754, 0.015, 0.847)
B (0.753, 0.619, 0.448)
B (0.806, 0.171, 0.553)
B (0.708, 0.685, 0.253)
B (0.955, 0.432, 0.747)
B (0.672, 0.747, 0.054)
B (0.815, 0.456, 0.249)
B (0.773, 0.524, 0.049)
B (0.976, 0.724, 0.451)
B (0.932, 0.793, 0.249)
B (0.880, 0.306, 0.053)
S (0.058, 0.371, 0.854)
S (0.017, 0.440, 0.644)
S (0.166, 0.139, 0.849)
S (0.183, 0.709, 0.849)
S (0.130, 0.205, 0.646)
S (0.086, 0.269, 0.446)
S (0.140, 0.823, 0.554)
S (0.295, 0.483, 0.855)
S (0.096, 0.896, 0.348)
S (0.248, 0.549, 0.652)
S (0.048, 0.403, 0.152)
S (0.397, 0.251, 0.848)
S (0.209, 0.666, 0.348)
S (0.100, 0.848, 0.053)
S (0.361, 0.318, 0.652)
S (0.189, 0.115, 0.245)
S (0.295, 0.401, 0.447)
S (0.347, 0.954, 0.553)
S (0.443, 0.870, 0.755)
S (0.546, 0.795, 0.947)
S (0.227, 0.638, 0.054)
S (0.275, 0.024, 0.045)
S (0.673, 0.584, 0.947)
S (0.368, 0.309, 0.251)
S (0.383, 0.943, 0.252)
S (0.474, 0.227, 0.454)
S (0.519, 0.774, 0.546)
S (0.616, 0.059, 0.749)
S (0.631, 0.692, 0.749)
S (0.323, 0.414, 0.053)
S (0.728, 0.979, 0.955)
S (0.769, 0.361, 0.947)
S (0.455, 0.205, 0.053)
S (0.558, 0.133, 0.250)
S (0.651, 0.046, 0.446)
S (0.704, 0.600, 0.554)
S (0.807, 0.883, 0.750)
S (0.641, 0.684, 0.352)